_Contents_
=====
# C16H31CaFN5

C16H31CaFN5 as an isolated structure (ωB97M-V/def2-TZVPD, the Open Molecules 2025 dataset).

XYZ file:
```
54
Properties=species:S:1:pos:R:3
Ca -0.36804 -0.79646 0.65631
C 1.31635 2.12670 0.10143
C 2.04659 1.17106 -0.84680
N 1.71501 -0.26615 -0.70428
C 2.81194 -1.04523 -0.10565
C 2.87191 -0.86188 1.39885
N 1.67875 -1.42821 2.04691
C 1.68172 -1.19199 3.50704
C 1.10232 0.15389 3.93811
C -0.41662 0.19244 4.07021
N -1.13209 0.36977 2.79020
C -1.40022 1.78785 2.51262
C -2.04872 1.97204 1.15377
N -1.15242 1.53736 0.07633
C -0.11177 2.51896 -0.28198
H 1.90368 3.04831 0.13255
H 1.33285 1.72846 1.12160
H 3.12290 1.29686 -0.69516
H 1.84970 1.48114 -1.87577
H 1.51388 -0.65149 -1.61879
H 3.78158 -0.77668 -0.53929
H 2.64375 -2.10194 -0.33369
H 2.92547 0.20173 1.64252
H 3.79006 -1.31780 1.78654
H 1.71691 -2.43630 1.91570
H 2.70476 -1.28489 3.88774
H 1.10013 -1.99057 3.97142
H 1.44535 0.95515 3.27477
H 1.52265 0.38866 4.91823
H -0.69505 0.99753 4.75854
H -0.75875 -0.73855 4.52586
H -2.02504 -0.11220 2.86288
H -0.44799 2.32542 2.54305
H -2.03660 2.23234 3.28640
H -2.34872 3.01940 1.03695
H -2.95984 1.36980 1.10112
H -1.69871 1.30387 -0.74299
H -0.34938 3.47769 0.18847
H -0.14638 2.69700 -1.35995
C -2.36587 -1.83562 -5.91917
C -1.91536 -1.49188 -4.53158
C -2.31312 -2.23131 -3.42577
C -1.88494 -1.87152 -2.15841
N -1.08464 -0.81950 -1.93104
C -0.70323 -0.10807 -2.99840
C -1.08336 -0.39851 -4.29256
H -2.84556 -2.81162 -5.94954
H -1.52468 -1.83820 -6.61227
H -3.08192 -1.09416 -6.27768
H -2.95714 -3.09280 -3.54324
H -2.17876 -2.42745 -1.27471
H -0.05818 0.74501 -2.80577
H -0.73558 0.22115 -5.10916
F -1.74955 -2.29864 0.72750
```

The calculation puts the relative energy (zero: lowest compared OMol25 entry of this formula, charge and spin) at 0.0 kcal/mol. The value obtained for the orbital gap is 10.556 eV. Its LUMO energy is -1.93 eV. Its net charge is +1. The total energy is -1679.4908 a.u. The spin multiplicity is 1.

Table of Löwdin atomic charges, one value per atom, all in e: 1.349, -0.167, -0.197, -0.141, -0.205, -0.215, -0.140, -0.203, -0.169, -0.205, -0.137, -0.214, -0.201, -0.146, -0.197, 0.124, 0.082, 0.119, 0.114, 0.092, 0.125, 0.129, 0.112, 0.131, 0.123, 0.120, 0.126, 0.097, 0.122, 0.119, 0.127, 0.120, 0.116, 0.130, 0.125, 0.131, 0.093, 0.121, 0.119, -0.033, -0.254, -0.002, -0.114, -0.024, -0.158, -0.016, 0.083, 0.089, 0.094, 0.120, 0.084, 0.087, 0.120, -0.705

----------

1.
99
Properties=species:S:1:pos:R:3:forces:R:3:lowdin_spin:R:1 method="wB97M-V/def2-TZVPD" multiplicity=2 de_lowest_kcal_mol=0.0 orbital_gap_ev="7.0 / 6.6" total_charge=+1 lumo_energy_ha="-0.062 / -0.064" homo_ev="-8.6568 / -8.3960"
Re 0.9465 -0.7320 -0.0076 -0.19 0.05 0.55 0.778
N 2.8682 0.0617 0.6287 -0.09 -0.02 0.06 0.018
C 3.0281 -0.3111 2.0508 0.00 -0.08 0.01 0.004
C 1.6799 -0.3313 2.7484 -0.02 0.05 -0.04 0.003
C -0.6737 -1.0974 2.3030 0.03 0.06 -0.14 0.004
C -1.4612 -1.9275 1.3035 0.01 -0.01 0.04 0.002
N -1.0696 -1.5759 -0.0838 0.07 -0.05 0.08 0.018
H 3.6934 -0.1889 0.0969 0.06 -0.04 -0.05 0.000
H 2.7386 1.0648 0.5237 0.00 0.08 0.00 0.006
H 3.7066 0.3601 2.5813 -0.01 0.02 0.01 0.000
H 3.4619 -1.3126 2.0893 0.02 0.01 -0.01 0.000
H 1.1855 0.6344 2.6357 -0.02 -0.01 0.01 0.000
H 1.8502 -0.5214 3.8034 0.01 -0.03 0.02 0.000
H -0.8183 -0.0349 2.1024 -0.01 -0.02 0.07 0.000
H -1.0303 -1.3301 3.2968 -0.01 -0.03 0.20 0.000
H -2.5321 -1.7924 1.4680 0.00 0.01 0.01 0.000
H -1.2389 -2.9839 1.4655 0.00 -0.01 -0.01 0.000
H -1.6715 -0.8464 -0.4592 0.01 0.08 0.01 0.004
H -1.1886 -2.3751 -0.6984 -0.04 -0.04 -0.02 0.000
C -1.2496 -2.7322 5.4202 0.01 0.05 -0.03 0.000
C 0.1985 -2.2207 5.2872 -0.01 -0.04 0.03 0.000
C 0.2633 -0.7098 5.5438 0.00 -0.04 -0.07 0.000
C 0.9353 -2.9667 4.1340 0.04 0.01 0.00 0.000
C 1.3967 -4.2026 4.5995 -0.03 0.06 -0.01 0.000
C 1.9959 -5.1485 3.7948 0.01 -0.01 0.02 0.000
C 2.1443 -4.8758 2.4565 0.02 -0.04 -0.04 0.000
C 1.7221 -3.6627 1.9213 0.02 -0.04 -0.05 0.000
C 1.9286 -3.5368 0.4212 -0.14 0.11 0.34 0.001
=====

_What to do_
Please repeat only the last part of the material earlier on, starting with the line that has "----------".

_Written answer_
----------

1.
99
Properties=species:S:1:pos:R:3:forces:R:3:lowdin_spin:R:1 method="wB97M-V/def2-TZVPD" multiplicity=2 de_lowest_kcal_mol=0.0 orbital_gap_ev="7.0 / 6.6" total_charge=+1 lumo_energy_ha="-0.062 / -0.064" homo_ev="-8.6568 / -8.3960"
Re 0.9465 -0.7320 -0.0076 -0.19 0.05 0.55 0.778
N 2.8682 0.0617 0.6287 -0.09 -0.02 0.06 0.018
C 3.0281 -0.3111 2.0508 0.00 -0.08 0.01 0.004
C 1.6799 -0.3313 2.7484 -0.02 0.05 -0.04 0.003
C -0.6737 -1.0974 2.3030 0.03 0.06 -0.14 0.004
C -1.4612 -1.9275 1.3035 0.01 -0.01 0.04 0.002
N -1.0696 -1.5759 -0.0838 0.07 -0.05 0.08 0.018
H 3.6934 -0.1889 0.0969 0.06 -0.04 -0.05 0.000
H 2.7386 1.0648 0.5237 0.00 0.08 0.00 0.006
H 3.7066 0.3601 2.5813 -0.01 0.02 0.01 0.000
H 3.4619 -1.3126 2.0893 0.02 0.01 -0.01 0.000
H 1.1855 0.6344 2.6357 -0.02 -0.01 0.01 0.000
H 1.8502 -0.5214 3.8034 0.01 -0.03 0.02 0.000
H -0.8183 -0.0349 2.1024 -0.01 -0.02 0.07 0.000
H -1.0303 -1.3301 3.2968 -0.01 -0.03 0.20 0.000
H -2.5321 -1.7924 1.4680 0.00 0.01 0.01 0.000
H -1.2389 -2.9839 1.4655 0.00 -0.01 -0.01 0.000
H -1.6715 -0.8464 -0.4592 0.01 0.08 0.01 0.004
H -1.1886 -2.3751 -0.6984 -0.04 -0.04 -0.02 0.000
C -1.2496 -2.7322 5.4202 0.01 0.05 -0.03 0.000
C 0.1985 -2.2207 5.2872 -0.01 -0.04 0.03 0.000
C 0.2633 -0.7098 5.5438 0.00 -0.04 -0.07 0.000
C 0.9353 -2.9667 4.1340 0.04 0.01 0.00 0.000
C 1.3967 -4.2026 4.5995 -0.03 0.06 -0.01 0.000
C 1.9959 -5.1485 3.7948 0.01 -0.01 0.02 0.000
C 2.1443 -4.8758 2.4565 0.02 -0.04 -0.04 0.000
C 1.7221 -3.6627 1.9213 0.02 -0.04 -0.05 0.000
C 1.9286 -3.5368 0.4212 -0.14 0.11 0.34 0.001